Taken from Chapter 10 of Janice Sergison’s book ‘Spiritual Legal Rights’, with Anne Hamilton. Chapter 10 is written by Anne.

See also Anne’s website, extensive Facebook page and her blog Grace Drops. Links at the foot of Anne’s Bio page: https://www.redthreadpoets.com/category/100-poets/anne-hamilton/

SO FAR WE’VE LOOKED AT various kinds of Spiritual Legal Rights we can offer to the enemy so that he is justifiably entitled to tempt, test or attack us.

These include:

Here the entry breaks off for data records =
~~~
No. 1
Density functional theory data (the ωB97M-V functional and the def2-TZVPD basis) for an isolated molecule of C5H9NO at a distorted geometry.

XYZ file:
```
16
Properties=species:S:1:pos:R:3:mulliken_charge:R:1
C -1.8337 0.0253 -0.3118 -1.632
C -0.5395 -0.4607 0.2782 0.470
O -0.2297 -1.7795 0.1051 -0.499
C 0.6657 0.4415 0.0356 0.614
C 2.0645 -0.1563 0.1374 -1.277
C 0.4889 1.5993 -0.8277 0.129
N 0.3332 2.5730 -1.4392 -0.479
H -1.9879 1.0798 -0.0695 0.379
H -2.6311 -0.5657 0.1434 0.475
H -1.8557 -0.0879 -1.3995 0.357
H -0.7388 -0.3084 1.5856 0.060
H -1.0128 -2.2537 0.4101 0.379
H 0.1998 0.5368 1.1174 0.021
H 2.8031 0.6489 0.1768 0.406
H 2.3516 -0.8413 -0.6680 0.270
H 2.1202 -0.7083 1.0782 0.327
```

Summary:
- HOMO-LUMO gap: 9.84 eV
- Total energy: -325.79966 hartree
- ΔE to the lowest compared entry with this formula, charge and spin: 86.5 kcal per mole
- HOMO: -9.4 eV

=====

No. 2
Density functional theory data (the ωB97M-V functional and the def2-TZVPD basis) for a cluster of 2 separate species, C8H8INO9PS2 in total at a distorted geometry.

XYZ file:
```
30
Properties=species:S:1:pos:R:3:mulliken_charge:R:1
O -1.5845 1.2379 0.6051 -0.158
C -2.1630 0.2981 0.9650 -0.031
I -3.9352 0.3499 2.2247 -0.043
C -1.6373 -1.0338 0.5251 -1.235
C -0.1440 -0.8567 0.3776 0.766
C 0.6160 -0.5647 1.5242 0.547
C 0.0038 -0.4049 2.8861 0.179
O -0.1237 0.6578 3.3931 -0.433
O -0.4104 -1.5337 3.5160 -0.481
C 2.0062 -0.4232 1.4390 -0.618
C 2.6172 -0.5619 0.2267 -0.776
N 1.8780 -0.8053 -0.8753 0.125
C 0.5232 -0.9520 -0.8290 0.233
P -0.2661 -1.2678 -2.4015 0.478
O 0.7102 -0.4932 -3.3988 -0.463
O -1.6657 -0.5480 -2.4797 -0.558
S -0.3136 -3.1475 -2.8081 -0.426
H -1.8283 -1.7997 1.2749 0.575
H -2.1720 -1.3750 -0.3533 0.588
H -0.2222 -2.3025 2.9634 0.414
H 2.5630 -0.2246 2.3388 0.538
H 3.6811 -0.4826 0.0889 0.409
H 2.3377 -0.8962 -1.7689 0.228
H 0.5976 -0.8653 -4.2846 0.341
H -1.6010 0.3986 -2.2271 0.443
O 0.6461 3.1766 0.6887 -0.680
S 0.0788 3.6615 -0.6064 1.146
O 0.3887 2.5980 -1.6283 -0.656
O 0.7015 4.9323 -1.0034 -0.711
O -1.3857 3.8039 -0.4769 -0.742
```

Summary:
- HOMO-LUMO gap: 3.34 eV
- Total energy: -2477.04172 hartree
- Charge: -1
- HOMO: -3.0 eV

=====

No. 3
Density functional theory data (the ωB97M-V functional and the def2-TZVPD basis) for a structure of composition C17H29Ca2Cl2FN2O3PS at a distorted geometry.

XYZ file:
```
58
Properties=species:S:1:pos:R:3:mulliken_charge:R:1
C -2.9342 0.8613 -3.9827 -1.707
C -3.1663 -0.2248 -2.9013 0.577
P -1.7007 -0.0110 -1.8527 0.500
C -0.2715 -0.2319 -2.9676 -1.510
N -1.6154 -1.4584 -0.5953 0.199
S -3.3155 -1.6592 -0.1675 0.020
C -0.8354 -1.1079 0.6947 -1.081
C -1.0427 0.2779 1.1932 1.355
C -2.1635 0.5983 1.9586 -0.825
C -2.4020 1.8613 2.4376 -0.737
C -1.4867 2.8646 2.1497 -0.610
C -0.3430 2.5520 1.4237 -1.274
C -0.0941 1.2781 0.9398 1.542
C 1.1878 1.0535 0.1717 -1.648
O -1.2478 -2.8554 -1.1697 -0.372
C 0.0182 -3.0754 -1.2894 0.304
N 1.1632 -3.1220 -1.5004 -0.386
H -2.4116 1.7249 -3.5634 0.466
~~~

•sin done deliberately
•sin done without awareness
•sin done in ignorance
•generational iniquity
•sexual sin
•rebellion, domination, manipulation
•occult activity and idolatry
•refusal to forgive
•refusal to repent
•reaction to trauma or loss of control
•soul ties
•bitter root judgments
•bitter root expectancies
•inner vows

Quite a list! Unholy covenants, however, are in the class of their own. They generally cover all of the territory mentioned above plus much more. They also give over more grounds to the enemy than any other Spiritual Legal Right.

Most people think of a covenant as just a higher form of contract. It’s a lot more solemn and usually involves unbreakable vows. Yes! It does have solemn vows and promises but that’s not what makes it a covenant.

In Chapter 7, of Janice Sergison’s book Spiritual Legal Rights, she quoted these verses from Scripture:

After David had finished speaking with Saul,
the souls of Jonathan and David were knit
together, and Jonathan loved him as himself.
1 Samuel 18:1 BLB

Then Jonathan made a covenant with David,
because he loved him as his own soul.
1 Samuel 18:3 ESV

If we read these carefully, we see what makes a covenant different. It’s a knitting together of two souls into one. The essential nature of covenant is oneness.

And that’s exactly the problem! Unholy covenants bring us into oneness with the enemy. In addition, covenants go on forever. They have no expiry date. This means that they don’t end with the death of the covenant-makers. (Remember David looking for someone in Jonathan’s family after he’d been killed in battle? This was because David understood that an integral part of his covenant with Jonathan was a promise to protect his family.)

So covenants just keep on going. They involve families for as long as the bloodlines exist—or else, until someone revokes the covenant.

Now most people, on learning about covenants, want all of this oneness with an unholy spirit annulled in the next two minutes. But it’s not something to be rushed. It has to be done extremely carefully with the help of the Holy Spirit. There are curses for breaking the covenant.

In fact, some of the curses are probably operational already. Turning to Jesus for salvation would have been a violation of any covenant with an unholy spirit. Violation brings down retaliation and backlash; and revocation brings even more!

So don’t start without consulting your Advocate and Counsellor, the Holy Spirit.

Unholy covenants are the biggest problem as far as generational iniquity is concerned. But how do we know if one of our ancestors covenanted with an ungodly spirit?

We know by the evidence we see; by the fruit apparent in our own lives. If we experience constant constriction and wasting whenever we try to come into our calling, then there’s a covenant somewhere.

It’s possible we may have raised19 the covenant ourselves, through:

•ritual involvement in the occult
•participation in ceremonies with the Freemasons or within a cult
•sexual activity outside of marriage
•participating in worship of an idol through such activities as colouring mandalas, practising yoga,20 and chanting a mantra during a breathing exercise

•entering a temple in a foreign country on a tour

•sharing of blood in childhood as in swearing blood brotherhood or pledging eternal friendship via a ‘witch’s prick’.

Some of these may seem strange. The last two are generally done in total ignorance.

The basic principle behind the list, however, comes from the resolutions of the Council of Jerusalem.21 After the early church had convened to decide what aspects of the Jewish Law that Gentile converts needed to obey, the disciples sent a message to them, saying:

It seemed good to the Holy Spirit and to us not to burden you with anything beyond these essential requirements: You must abstain from food sacrificed to idols, from blood, from the meat of strangled animals, and from sexual immorality. You will do well to avoid these things.
Acts 15:28–29 BSB

All these prohibitions are covenant-related. That would have been clear to first century converts who knew that when you ate food sacrificed to idols, you covenanted with the idols. When you indulged in sex outside of marriage, you covenanted with your sexual partner. When you touched blood, you shared the life of another and thus covenanted with them.

I believe this list spells out the principle. I don’t believe it’s the final-for-all-time list of restrictions. This is why I’ve added to the list above. The apostles didn’t need mentioning not visiting foreign temples, because that was automatically implied in not eating food sacrificed to idols. Today, however, we need to be clearer about it.

Most people today, however, are totally ignorant of covenants. And most haven’t actually fallen into the trap of raising one themselves. The issue for most of us is that we haven’t revoked the covenants that our ancestors invoked.
A common covenant that is passed down from one generation to the next is a covenant with Death.22 Back at an unknown point in history, some of our ancestors lost so much faith and hope that they came to believe that God is not all-powerful or all-loving. In their total despair and anger, they concluded that Death is the strongest being in the universe.

And so they came up with the idea of a totally perverted covenant: they made an agreement with Death to protect their family from itself!

Now certain types of covenants between humans are specifically intended for mutual protection: the covenanting partners pledge to defend each other to the death. The same is true of similar covenants between God and humanity.23

It’s totally bizarre and back-to-front thinking to expect Death to defend us from itself! But know what? Unholy spirits will take whatever Spiritual Legal Rights we offer them. They will trade with us, no matter how unfair the deal is.24 As soon as this bargain is made, all the family gets is survival. Their inheritance and calling has been forfeited.

If that’s how you feel—that for as long as you can remember you’ve just been barely surviving—then the reason may be that a covenant with Death has come down your family line.25

Always always always consult with the Holy Spirit about revoking a covenant.


Yet again, the acronym A∙C∙R∙O∙S∙S might help you remember these six steps.

•Acknowledge the covenant

If possible, recognise the ‘strong man’ who holds the deeds to the covenant and thus has your calling and family inheritance legally locked up. Do not insult the ‘strong man’ or even call him a thief.

•Confession of sin

If you raised the covenant yourself, then confess your own sin. If your ancestors raised the covenant, then ask the Lord to allow you to speak in identificational confession. That is, to confess on behalf of your ancestors.

•Repentance for raising the covenant

If you raised the covenant yourself, then repent of your own sin. If your ancestors raised the covenant, then ask the Lord to allow you to speak on their behalf in identificational repentance.

Tell God you’re sorry and you want Him to turn your life around. Ask Jesus to empower the words you speak.

•Renounce the covenant

‘I am saying an eternal “no” to this covenant on behalf of myself and my descendants. It ask Jesus to empower these words and to forbid any retaliation against me, my family, friends, colleagues, loved ones including pets and possessions that I am stewarding for God. I ask God to kiss me with His armour of protection.’

•Offer forgiveness

Forgive your ancestors; forgive yourself for taking so long to revoke this unholy covenant.

Ask God to forgive you. And also withdraw any judgment your family has made against God that led them into making a covenant with another spirit.

And this is worth repeating again: don’t forget that we don’t forgive, it is Jesus who accomplishes forgiveness in us and through us. All we can do is ask Him to empower the words we speak.

•Strike down the covenant

Ask God to send recording angels to retrieve all copies of the covenant and to place them at His feet. Ask for it to be annulled and for the spirits that have any claim in it to be rebuked.

•Speak out resurrection life by asking God to send a sign that the covenant is overturned

This often takes a considerable time. The sign of the breaking of a covenant with Death is an ‘unnatural’ event in the natural world. The examples given in Isaiah 28:21 refer to the sun standing still and an inland tsunami. I always ask for gentler and less dramatically destructive things!

One last note about ‘Spiritual Legal Rights’ and their connection with covenants and my apologies (but not many! @) for the relatively heavy-duty theology to finish this chapter.

The Spiritual Legal Rights that are exercised by the enemy over our lives have two sources: one is ourselves, the other is God. We can negate the Spiritual Legal Rights that we ourselves have given over to the satan—and we do this by speaking out words of repentance, renunciation and forgiveness that are empowered by Jesus Himself. However we cannot annul the Spiritual Legal Rights that have been given to the satan by God.

Most people are shocked to discover that God has actually granted the enemy specific Spiritual Legal Rights. The most significant of these rights is found when God pronounces sentence on the serpent in the Garden of Eden.

And I will put enmity between you and the woman, and between your seed and her seed. He will crush your head, and you will strike His heel.
Genesis 3:15 BSB

That last word ‘heel’ has a double meaning in Hebrew. It is also the word for ‘if’, and ‘if’ signifies a choice. This verse shows that God granted the satan the right to test our choices.

So our attempts to strip the enemy of this right by ‘binding him’—which, in Scriptural context, actually means ‘taking out a legal injunction to stop him’—are futile when his Spiritual Legal Right comes from the Word of God itself.

We have to pass the tests we are set and do so with honour. One of the most common ways believers hand over Spiritual Legal Rights today during spiritual warfare is by abusing, reviling, insulting and dishonouring unholy spirits. Both Jude 1:8–10 and 2 Peter 2:10–12 warn about the consequences of such behaviour.

Don’t do it! And, if you have, go apologise to God.

19The correct technical terms from Scripture for undertaking a covenant are ‘to raise a covenant’ or ‘to cut a covenant’.
20As mentioned in Chapter 1.

21This was the Council where the question of circumcision for Gentile believers was debated and resolved.

22Mentioned in Isaiah 28:15

23Actually this is not the normal covenant most people think of: the blood covenant. In both these cases, it is a threshold covenant that is about mutual defence. See Anne Hamilton, God’s Pageantry: the Threshold Guardians and the Covenant Defender, Armour Books 2015 or any of the series Strategies for the Threshold.

24Remember that the satan is an expert in trade. That is why he was cast out of heaven. See Ezekiel 28.

25For more symptoms of a covenant with Death, see Anne Hamilton, God’s Poetry: the Identity and Destiny Encoded in Your Name, Armour Books 2011 or God’s Pottery: the Sea of Names and the Pierced Inheritance, Armour Books 2016

Anne Hamilton is a former Mathematics teacher, multi-award winning author. Her thirty books run the gamut from children's picture books to young-adult fantasy to several devotional theology series drawn from her deep Biblical research and her love of God and God’s Word. If you want books that are light and superficial, you've come to the wrong author. If you want entertainment that will never tax your grey matter, click your back-button now. She loves to make her readers think about themselves and the universe in fresh and profound ways. She doesn't want them to agree with everything she says - her aim is to start a dialogue, and also to create a 'Wow!' moment as she explores traditional interpretations of words, stories and names and exposes the treasures within. She's a numerical literary artist: that is, she is part of a long and venerable tradition of writers who design the structure of their writing using codified mathematical principles. A former President of The Omega Writer, a publisher and editor. For twenty years, Anne was the coordinator of an annual camp for children based around The Chronicles of Narnia. That experience shaped a lot of her thinking about how readers enjoy fantasy, and were an influence her award winning children’s books. She has made an invaluable contribution to Australian and New Zealand Christian writers through her tireless efforts, prayers and vision. See the links to her extensive Facebook page, her blog and the Australian source of her books. Anne lives in Brisbane, Australia.